Author Archives: Matthew

Giving and Receiving

Posted ago by Matthew

With Christmas all around us we are inundated with news and information on buying gifts.  But have we lost sight of what it all means? In general people give what they would like to receive, or give what they would …

Failing Forward – John C. Maxwell

(Attached: calculated crystals)
1.
The following is a GGA+U calculation of LiV2OF7 after structural relaxation, from the Materials Project database.

a b c (Å): 5.856 8.716 5.872
angles (deg): 91.29 95.88 88.89
Element x y z (fractional)
Li 0.265 0.119 0.026
Li 0.765 0.619 0.527
V 0.249 0.760 0.242
V 0.005 0.003 0.486
V 0.749 0.259 0.742
V 0.505 0.503 0.986
O 0.718 0.473 0.771
O 0.218 0.973 0.272
F 0.519 0.271 0.978
F 0.019 0.771 0.478
F 0.280 0.528 0.223
F 0.780 0.028 0.723
F 0.478 0.730 0.016
F 0.978 0.230 0.516
F 0.985 0.242 0.973
F 0.485 0.742 0.474
F 0.722 0.506 0.237
F 0.222 0.006 0.737
F 0.260 0.499 0.781
F 0.761 0.999 0.280
F 0.019 0.740 0.022
F 0.519 0.240 0.522


2.
The following is a GGA+U calculation of LiV2OF7 after structural relaxation, from the Materials Project database.

a b c (Å): 5.661 10.979 5.738
angles (deg): 72.24 89.99 90.01
Element x y z (fractional)
Li 0.872 0.506 0.937
Li 0.628 0.006 0.438
V 0.251 0.685 0.455
V 0.249 0.185 0.955
V 0.764 0.811 0.068
V 0.736 0.311 0.568
O 0.971 0.745 0.305
O 0.528 0.245 0.805
F 0.107 0.303 0.067
F 0.393 0.803 0.567
F 0.350 0.095 0.262
F 0.150 0.595 0.762
F 0.709 0.407 0.250
F 0.791 0.907 0.750
F 0.436 0.779 0.146
F 0.064 0.279 0.646
F 0.740 0.163 0.469
F 0.760 0.663 0.969
F 0.319 0.545 0.378
F 0.181 0.045 0.878
F 0.741 0.961 0.163
F 0.759 0.461 0.663


Tell me which of them is the least stable. Sure, it is 2.


1.
The following is a GGA+U calculation of Li3V3O5F3 after structural relaxation, from the Materials Project database.

a b c (Å): 5.977 5.977 10.223
angles (deg): 106.22 88.83 60.82
Element x y z (fractional)
Li 0.865 0.246 0.381
Li 0.365 0.246 0.881
Li 0.937 0.621 0.684
Li 0.437 0.621 0.184
Li 0.688 0.626 0.938
Li 0.188 0.626 0.438
V 0.006 0.005 0.000
V 0.506 0.005 0.500
V 0.937 0.123 0.678
V 0.437 0.123 0.178
V 0.445 0.615 0.678
V 0.945 0.615 0.178
O 0.802 0.384 0.582
O 0.302 0.384 0.082
O 0.574 0.880 0.306
O 0.074 0.880 0.806
O 0.812 0.877 0.064
O 0.312 0.877 0.564
O 0.829 0.376 0.069
O 0.329 0.376 0.569
O 0.307 0.898 0.069
O 0.807 0.898 0.569
F 0.569 0.381 0.812
F 0.069 0.381 0.312
F 0.041 0.370 0.807
F 0.541 0.371 0.308
F 0.563 0.848 0.807
F 0.063 0.848 0.307


2.
The following is a GGA+U calculation of Li3V3O5F3 after structural relaxation, from the Materials Project database.

a b c (Å): 5.989 6.089 8.428
angles (deg): 88.90 89.31 91.80
Element x y z (fractional)
Li 0.488 0.519 0.505
Li 0.988 0.020 0.005
Li 0.512 0.991 0.243
Li 0.011 0.492 0.743
Li 0.246 0.996 0.627
Li 0.747 0.497 0.127
V 0.268 0.480 0.123
V 0.006 0.747 0.383
V 0.505 0.247 0.883
V 0.767 0.980 0.623
V 0.998 0.251 0.375
V 0.498 0.751 0.875
O 0.989 0.765 0.612
O 0.489 0.265 0.112
O 0.784 0.987 0.383
O 0.284 0.487 0.883
O 0.970 0.220 0.610
O 0.470 0.720 0.110
O 0.516 0.791 0.638
O 0.016 0.291 0.138
O 0.723 0.006 0.863
O 0.224 0.505 0.363
F 0.241 0.007 0.379
F 0.740 0.507 0.879
F 0.260 0.997 0.873
F 0.760 0.498 0.373
F 0.500 0.242 0.637
F 0.000 0.742 0.137


Tell me which of them is the least stable. Sure, it is 2.

=====
(Here the page continues)

Posted ago by Matthew

I recently read this book and it was the first of John Maxwell’s that I read.  I have since read a couple of others of his and will review them too. Firstly the title of this book intrigued me because …

New Habits

Posted ago by Matthew

It’s very easy to live the same way every day and have very little or nothing change. I try to not live my life that way. I was once told that as soon as you stop changing you become old. …

Everlasting Love

Posted ago by Matthew

 Today is eight years since my wife and I were married.  When I think about our relationship and the life we have created together I think of everlasting love. A few weeks ago my oldest daughter (she’s five) asked me …

Man’s Search for Meaning – Dr. Viktor Frankl

Posted ago by Matthew

“We who lived in concentration camps can remember the men who walked through huts comforting others, giving away their last piece of bread. They may have been few in number, but they offer sufficient proof that everything can be taken …


Posted ago by Matthew

Trust is one of those intangibles that has so much value.  Think of auto brands.  There was a time when General Motors and Ford were the most trusted brands.  Then they fell out of favour and Toyota and other Japanese …

Over-promising to Under-deliver?

Posted ago by Matthew

Websites continue to get more and more sophisiticated and with the booming smart-phone application industry, websites promoting those apps are raising the bar. A new iPhone application for protecting selected information on the iPhoneor iPad is coming in early 2011.  The …

Wellbeing – Tom Rath and Jim Harter

Posted ago by Matthew

Written byTom Rath and Jim Harter “Wellbeing” is the result of Gallup research covering 150 countries, representing 98% of the world’s population. An easy read that will make you re-define your perception of happiness and wellness. From this research, five …


Posted ago by Matthew

“It’s beginning to look a lot like Christmas…” so the tune goes. It seems that Christmas begins the day after Halloween, with the decorations, the music and all the paraphernalia that goes with it. And certainly it’s a fun time …

Losing My Virginity – Richard Branson (autobiography)

Posted ago by Matthew

“Ridiculous yachts and private planes and big limousines won’t make people enjoy life more, and it sends out terrible messages to the people who work for them. It would be so much better if that money was spent in Africa… …